**Entries:**
____________
C5H8S in the gas phase in a non-equilibrium geometry, computed with ωB97M-V/def2-TZVPD.

Structure (ORCA input):
```
! wB97M-V def2-TZVPD RIJCOSX def2/J DEFGRID3
* xyz 0 1
C -0.933 0.876 0.088
C -1.112 0.443 -1.132
C 1.906 0.209 1.713
C -2.395 0.550 -1.882
C 1.987 -1.233 1.516
S 0.735 1.180 0.856
H -0.389 0.083 -1.833
H 2.566 0.777 2.247
H -2.209 1.002 -2.789
H -3.179 1.182 -1.393
H -2.909 -0.314 -1.843
H 1.290 -1.494 0.568
H 1.647 -1.739 2.375
H 2.994 -1.523 1.510
*
```

Calculated values
Calculated total energy: -593.29634 hartree
Relative energy (zero: lowest compared OMol25 entry of this formula, charge and spin): 120.4 kcal/mol

---

A 2-piece molecular cluster, C5H4O2 overall in a non-equilibrium geometry, computed with ωB97M-V/def2-TZVPD.

Structure (ORCA input):
```
! wB97M-V def2-TZVPD RIJCOSX def2/J DEFGRID3
* xyz 0 1
C 1.881 -0.797 -0.148
C 1.742 -1.971 0.207
C 2.210 0.470 -0.109
C -0.896 0.515 -0.655
C -1.496 -0.174 0.485
O 2.661 1.482 0.092
O 0.132 1.148 -0.626
H -1.530 0.314 -1.465
H -2.131 0.526 1.047
H -0.684 -0.473 1.161
H -1.889 -1.040 0.011
*
```

Calculated values
Calculated total energy: -343.22307 hartree
Relative energy (zero: lowest compared OMol25 entry of this formula, charge and spin): 106.2 kcal/mol

---

C15H18N3OS as an isolated structure in a non-equilibrium geometry, computed with ωB97M-V/def2-TZVPD.

Structure (ORCA input):
```
! wB97M-V def2-TZVPD RIJCOSX def2/J DEFGRID3
* xyz 1 1
O 0.824 -1.557 -2.695
C -0.408 -1.388 -2.539
N -0.728 -1.380 -1.259
C -1.795 -0.441 -0.599
H -2.643 -0.054 -1.321
H -2.312 -0.965 0.375
C -1.176 0.751 0.110
N -0.017 0.696 0.900
H -0.444 0.183 1.718
C 0.912 -0.332 0.349
C 0.496 -1.665 -0.131
H 1.178 -2.161 -0.561
H -0.326 -2.022 0.761
H 1.795 -0.605 1.079
H 1.438 0.276 -0.519
C 0.558 1.737 1.600
C 1.258 1.498 2.736
C 2.777 1.442 2.668
N 3.644 1.230 3.451
C 3.102 0.857 4.826
C 1.698 1.076 5.004
C 0.983 1.128 4.034
H -0.123 1.214 4.029
H 1.336 0.621 6.063
H 3.904 0.946 5.427
H 3.295 1.693 1.569
H -0.421 2.539 1.837
H 1.274 2.283 0.582
H -1.857 1.435 0.476
H -0.680 1.297 -0.907
C -1.259 -1.273 -3.518
C -1.090 -0.931 -4.780
C -2.201 -1.221 -5.628
C -3.438 -1.479 -4.827
S -3.075 -1.686 -3.161
H -4.171 -1.788 -5.369
H -2.212 -0.882 -6.741
H -0.096 -1.069 -5.041
*
```

Calculated values
Calculated total energy: -1219.36842 hartree

---

C4H9NO in the gas phase in a non-equilibrium geometry, computed with ωB97M-V/def2-TZVPD.

Structure (ORCA input):
```
! wB97M-V def2-TZVPD RIJCOSX def2/J DEFGRID3
* xyz 0 1
C -0.646 0.778 2.044
C -0.344 -0.446 1.246
N -0.399 -0.169 -0.159
C 0.637 -0.603 -0.987
C 0.684 -0.088 -2.416
O 1.474 -1.367 -0.547
H -1.088 0.493 2.985
H 0.271 1.298 2.441
H -1.395 1.433 1.502
H -1.117 -1.167 1.327
H 0.573 -0.972 1.564
H -0.881 0.670 -0.660
H 0.433 -0.961 -3.047
H 1.684 0.247 -2.747
H 0.115 0.855 -2.546
*
```

Calculated values
Calculated total energy: -287.79299 hartree
SMILES string: CCNC(C)=O
Relative energy (zero: lowest compared OMol25 entry of this formula, charge and spin): 24.8 kcal/mol

---

C5H15N2O as an isolated structure in a non-equilibrium geometry, computed with ωB97M-V/def2-TZVPD.

Structure (ORCA input):
```
! wB97M-V def2-TZVPD RIJCOSX def2/J DEFGRID3
* xyz 1 1
N -2.857 -0.767 -1.367
C -1.744 -1.011 -0.390
C -2.000 -0.529 1.138
C -0.565 -0.185 -0.991
N 0.492 -0.017 -0.025
C 1.733 0.308 -0.735
C 2.810 0.764 0.307
O 2.015 1.387 1.251
H -1.287 -1.915 -0.368
H -3.719 -1.224 -1.153
H -2.602 -1.089 -2.429
H 0.903 0.223 3.654
H -1.112 -0.668 1.751
H -2.815 -1.132 1.552
H -2.336 0.492 1.150
H -0.191 -0.814 -1.818
H -1.027 0.609 -1.510
H 1.511 0.708 3.723
H 2.147 -0.474 -1.376
H 1.553 1.233 -1.337
H 3.607 1.424 -0.060
H 3.292 -0.011 0.880
H 1.100 0.952 1.111
*
```

Calculated values
Calculated total energy: -383.73642 hartree
Relative energy (zero: lowest compared OMol25 entry of this formula, charge and spin): 197.4 kcal/mol

---

C6H10N2O as an isolated structure in a non-equilibrium geometry, computed with ωB97M-V/def2-TZVPD.
____________
**Assignment:**
Now find "1.516" and "-2.909 -0.314" in the lines above, and retype these two lines and those between.
**Response:**
C 1.987 -1.233 1.516
S 0.735 1.180 0.856
H -0.389 0.083 -1.833
H 2.566 0.777 2.247
H -2.209 1.002 -2.789
H -3.179 1.182 -1.393
H -2.909 -0.314 -1.843